Stepsize randomisation

I have a question regarding the stepsize and stepsize_jitter parameters. I am using rstan, but I guess that the other interfaces have similar parameters.

I would like to know how exactly the “jittering” is done, i.e. how the supplied stepsize is randomised. The parameter stepsize_jitter is supposed to be in [0, 1] and I would guess that higher values randomise more. But what kind of randomisation takes place - is it uniform, gaussian, …?

Moreover: Is it possible to supply my own randomised timesteps, e.g. an array (length iter) of timesteps to be used for the iterations? The specification for the parameter stepsize says it’s double, which makes me guess I cannot simply supply an array.

The docs for this are over here: 14.2 HMC Algorithm Parameters | Stan Reference Manual

The actual function is here:

I don’t know of a way to do that without modifying Stan itself.

## Inserted here: quantum chemistry results
<<<
This record from the Open Molecules 2025 dataset describes a structure of composition C27H31BGe2N8Ni at a distorted geometry. The level of theory is ωB97M-V/def2-TZVPD.

The geometry in XYZ format:
```
70
Properties=species:S:1:pos:R:3:forces:R:3:lowdin_spin:R:1
Ge 3.07224 1.97960 0.24197 0.1 -1.0 -0.8 0.003
Ge 1.07027 1.32080 1.39487 -1.3 0.4 -0.1 0.001
Ni 0.97312 -0.19409 -1.73696 0.8 0.4 0.1 1.692
N 0.66284 -1.28185 -0.08383 -1.6 -0.3 -0.5 0.056
N -0.11579 -2.53878 -2.41991 1.3 -1.1 -1.6 0.000
N 0.98688 -1.80607 -2.73572 0.5 -0.9 -0.7 0.085
N -0.54942 -1.90389 -0.15518 -0.9 -0.5 0.7 -0.001
N -0.78324 0.34610 -2.27407 -0.5 -1.3 0.5 0.066
N -2.75170 -4.00065 -0.81863 0.9 0.1 1.0 0.000
N -1.73809 -0.59307 -1.95640 -0.2 -0.2 -0.5 -0.001
N -2.40697 -3.03911 -1.71169 0.6 0.7 1.1 0.000
C -0.07445 1.65416 5.35269 -1.9 0.1 -0.2 0.000
C 4.58842 0.86088 0.80346 -0.7 0.6 0.4 0.001
C -0.79962 3.28993 0.52955 1.4 0.7 -1.8 0.000
C -1.38714 1.32246 -2.89517 -0.5 2.8 -0.5 0.014
C -3.13394 -3.19033 -2.83610 0.2 0.4 -0.5 0.000
C 1.12150 -1.55949 1.13129 0.9 0.7 0.4 0.010
C -1.78147 1.12679 0.87802 -0.3 0.1 -0.3 0.001
C -3.02149 1.69400 0.66266 0.4 1.1 0.1 0.000
C 0.22533 -2.27848 1.88444 -0.7 -1.1 0.6 0.002
C 1.13439 1.53092 6.01572 -0.6 -0.5 -1.7 0.000
C 0.08169 -3.80653 -2.91514 -1.1 2.1 0.8 0.005
C 1.25277 -3.84444 -3.58439 0.7 -0.5 -0.2 0.004
C 2.22359 1.12512 5.28474 1.6 -0.7 0.3 0.000
C -0.19159 1.47959 3.97538 1.0 -0.2 -0.5 0.000
C 2.67934 1.45409 -1.70659 0.5 0.8 0.7 0.020
C 0.96946 1.12572 3.24195 0.1 -0.4 0.9 0.000
C -2.76655 1.11266 -2.96083 0.0 -1.0 0.3 0.004
C 1.83555 -2.60481 -3.43096 -0.2 1.2 0.2 0.016
C 3.43778 3.85949 0.50315 0.1 -0.4 2.2 0.002
C -0.84214 -2.52497 1.01010 1.3 1.2 0.2 0.002
C -3.15034 3.06529 0.37125 0.6 -0.8 -0.4 0.001
C 2.16171 0.85456 3.93124 0.6 0.9 -0.3 0.000
C -2.04210 3.86746 0.24834 0.7 -0.7 0.7 0.000
C -0.64988 1.91998 0.72125 0.3 0.0 0.9 0.002
C -2.94216 -0.13000 -2.36695 -0.2 1.0 -0.3 0.005
C -3.66160 -4.75869 -1.38092 -0.5 0.1 -0.2 0.000
C -3.94917 -4.25380 -2.68509 -1.0 -1.0 0.1 0.000
B -1.25938 -2.02208 -1.53920 -0.8 -0.6 -0.1 0.000
H 0.12574 3.87706 0.31929 -0.8 -0.2 0.5 0.000
H -1.11359 1.62358 3.40340 0.2 0.1 0.6 0.000
H -3.59810 1.66596 -3.37417 0.5 0.3 0.0 0.001
H 5.47229 1.22656 0.30692 0.3 -0.3 -0.6 0.000
H -1.02341 1.85921 5.87339 0.7 0.1 0.0 0.000
H 4.79582 1.04430 1.85549 -0.2 -0.1 0.2 0.000
H -2.99062 -2.53145 -3.66268 -0.1 0.2 -0.4 0.000
H 3.11419 0.62244 3.41060 -0.8 -0.1 0.3 0.000
H 3.17787 0.97427 5.80090 -0.3 0.1 -0.2 0.000
H 2.73357 4.54067 0.07629 -0.4 0.4 -0.2 0.000
H 0.32775 -2.68725 2.90129 0.0 0.5 -0.8 0.001
H -3.87725 1.08711 0.75338 -1.0 -0.6 0.1 0.000
H 1.80288 1.80350 -2.25992 -0.3 0.1 0.2 0.004
H 1.61139 -4.70348 -4.09348 0.4 -0.3 -0.3 0.001
H 2.11601 -1.22585 1.33275 0.5 0.0 0.5 0.000
H -2.16292 4.89517 -0.04489 0.2 0.2 0.1 0.000
H -4.10107 -5.59319 -0.80101 0.4 0.7 -0.7 0.000
H -3.95045 -0.52452 -2.24748 0.8 -0.8 0.3 0.000
H -4.05790 3.54389 0.11515 -1.2 -0.1 0.1 0.000
>>>

Stepsize jitter is strongly not recommended and will be deprecated in upcoming versions of Stan.

Here again, thanks for the quick answer @bbbales2!

Why is that @betanalpha? Will the stepsize be randomised another way or will it simply be static throughout the MC iterations?

The stepsize only changes during the adaptation stage (after each MCMC draw). During the sampling stage the stepsize stays the same. You should be able to use get_sampler_params with inc_warmup = TRUE in Rstan to see what’s actually being used.

Step size will vary during adaptation, and that history of step sizes can be recovered in RStan and PyStan as @bbbales2 notes (it’s included immediately in CmdStan so there you just need to save the warmup iterations). The step size in that adaptation phase is technically random, but only because the adaptation is conditioning on the random realization of the Markov chain.

Adding jitter to the step size will randomize it during the main sampling phase as well, which you can see in the same way by examining the non-warmup samples. Once this jitter is deprecated the step size will remain constant during the main sampling phase.

Jitter was originally introduced by Neal as a way of including occasionally small step sizes that might allow exploration of regions of high curvature. Unfortunately this requires being in the right place at the right time, and the probability that everything coincidently aligns is quite small. Indeed it ends up just mostly compromising performance away from the regions of high curvature where the fluctuations to smaller step sizes require most costly transitions.

There is another argument for varying step sizes that comes from a theoretical ergodicity perspective. Here the variation is not so much a question of performance but rather mathematical convenience for getting the numerical integrator to “smear out” and cover the entire parameter space (and even then its hard to decouple the varying step size from varying integration time it induces). This approach requires an exponential distribution of step sizes which not only allows for smaller step sizes but also much larger step sizes than nominal. Empirically this kind of variation does not seem to offer much in terms of performance or robustness, but that might not be unexpected given that it is aimed at static integration time methods and not the dynamic methods that we employ in Stan.

# Someone pasted quantum chemistry results at this point
<<<
(1)
83
Properties=species:S:1:pos:R:3 method="wB97M-V/def2-TZVPD" largest_force_ev_per_a=2.82 total_energy_ev=-85678.60580 lumo_energy_ev="0.051 / 0.007" multiplicity=2 e_above_lowest_kcal_mol=35.1 e_homo_ev="-5.211 / -5.086"
Cr 0.46910 -0.71722 -0.75131
N -0.70947 -2.33762 -0.04939
C 0.10618 -3.51202 0.27562
C 1.27557 -3.59562 -0.70196
N 1.93229 -2.28977 -0.86826
C 3.04270 -1.99709 0.05229
C 2.51223 -1.43470 1.36597
N 1.53048 -0.39182 1.07219
H -1.09327 -1.91379 0.80293
H -1.46883 -2.59440 -0.66861
H -0.46650 -4.44169 0.21421
H 0.46000 -3.41669 1.30225
H 0.88415 -3.87923 -1.68035
H 1.98691 -4.36297 -0.37628
H 2.28678 -2.24785 -1.81841
H 3.66317 -1.23297 -0.42010
H 3.66276 -2.88282 0.23336
H 3.35579 -1.06485 1.95707
H 2.02906 -2.22088 1.94708
H 1.98512 0.51041 0.96895
H 0.77890 -0.33952 1.76870
C 0.29247 -0.85605 4.55887
C -0.91818 -1.74390 4.39910
C -1.17790 -2.71924 5.35387
C -2.32576 -3.49170 5.29616
C -3.25487 -3.24207 4.29865
C -3.02669 -2.28089 3.32269
C -4.10752 -1.98777 2.31156
C -1.81281 -1.55717 3.32411
N -1.43177 -0.78935 2.22325
C -2.01092 0.36434 1.88150
C -2.97781 0.99599 2.85767
C -1.77224 1.04737 0.67459
C -2.59675 2.31618 0.50487
N -0.92700 0.66117 -0.35290
C -0.96436 1.53283 -1.48465
C -1.86682 1.30004 -2.53313
C -2.88173 0.19707 -2.42356
C -1.83947 2.12145 -3.65137
C -0.95135 3.18175 -3.73162
C -0.12929 3.46705 -2.65454
C -0.14928 2.67669 -1.51045
C 0.65017 3.07499 -0.29813
H 0.32088 -0.45940 5.57532
H 0.25544 -0.01509 3.86904
H 1.22531 -1.40319 4.39724
H -0.47129 -2.86386 6.16475
H -2.50930 -4.26172 6.03466
H -4.18572 -3.79910 4.27705
H -4.65624 -2.89387 2.05180
H -3.71365 -1.53742 1.40216
H -4.82416 -1.27683 2.73201
H -3.03606 0.39461 3.76395
H -3.98271 1.08363 2.43821
H -2.65078 2.00030 3.13442
H -2.36677 3.04909 1.28388
H -3.66790 2.10508 0.56524
H -2.40808 2.78823 -0.45457
H -2.42572 -0.68659 -1.98113
H -3.27356 -0.06185 -3.40628
H -3.71161 0.50522 -1.78089
H -2.53438 1.93023 -4.46072
H -0.92396 3.80555 -4.61676
H 0.52668 4.33026 -2.69230
H 1.14256 4.03254 -0.47195
H 1.41274 2.33179 -0.07554
H 0.00340 3.16472 0.57717
S 0.09506 -1.18937 -3.04227
O 4.01360 1.92695 -1.17914
C 3.94370 2.15293 -2.51802
C 4.85275 3.00734 -3.12372
C 4.82098 3.22549 -4.49039
C 3.87525 2.57956 -5.27213
C 2.96595 1.72709 -4.68234
C 2.96860 1.49578 -3.30185
C 1.96239 0.60938 -2.72388
O 1.21640 -0.00580 -3.60586
O 1.80861 0.43253 -1.50212
H 4.68576 2.50915 -0.80872
H 5.60024 3.50437 -2.51466
H 5.54234 3.89318 -4.94215
H 3.84587 2.74246 -6.34090
H 2.21414 1.22090 -5.27107


(2)
38
Properties=species:S:1:pos:R:3 method="wB97M-V/def2-TZVPD" smiles=OCCO.OCCO.O.O.O.O.O.O largest_force_ev_per_a=2.88 total_energy_ev=-25010.65749 lumo_energy_ev=-0.452 e_above_lowest_kcal_mol=63.7 e_homo_ev=-9.759
O 0.80968 -0.04555 0.58484
C 0.54668 -0.51355 1.85384
C -0.29732 -1.76455 1.57384
O -0.93032 -2.01555 2.84384
H 1.48168 0.60445 0.60284
H 1.44168 -0.79455 2.38884
H -0.03232 0.22445 2.46984
H 0.26168 -2.60755 1.26184
H -1.12332 -1.58655 0.80984
>>>


Whoops, my bad. I didn’t realize this was the case.